**Listing**
48
Properties=species:S:1:pos:R:3:forces:R:3:lowdin_charge:R:1 method="wB97M-V/def2-TZVPD" de_lowest_kj_mol=200.43 smiles="COCCCn1c(SCc2cc(=O)[nH]c3ccccc23)nnc1-c1ccco1" charge=0 gap_ev=8.107 molar_mass_g_mol=396.5 homo_ev=-7.8478
C -5.995 -2.672 0.554 -0.07 -0.09 0.00 -0.11
O -4.921 -1.778 0.433 0.19 0.25 -0.06 -0.19
C -3.675 -2.372 0.721 0.22 0.02 0.15 -0.24
C -2.582 -1.320 0.589 -0.37 -0.22 -0.23 -0.12
H -2.803 -0.494 1.266 0.07 0.01 0.04 0.12
H -1.626 -1.760 0.877 0.04 0.02 0.01 0.12
C -2.507 -0.788 -0.845 -0.50 -0.38 0.38 -0.14
N -1.411 0.132 -0.994 0.71 0.61 -0.15 0.01
C -0.157 -0.169 -1.433 -0.03 0.10 -0.06 -0.62
N 0.638 0.865 -1.335 0.37 -0.81 -0.47 0.04
N -0.076 1.870 -0.822 -0.78 0.97 0.54 0.09
C -1.301 1.446 -0.611 0.37 -0.58 -0.30 -0.22
C -2.346 2.267 -0.078 0.08 1.38 0.38 -0.20
C -2.297 3.588 0.297 0.15 -0.88 -0.30 0.00
C -3.593 3.911 0.751 -0.48 -0.45 0.00 -0.05
C -4.332 2.774 0.623 -0.19 0.91 0.32 -0.11
O -3.590 1.775 0.123 0.20 -0.54 -0.21 0.03
H -5.358 2.552 0.843 -0.11 -0.13 0.00 0.12
H -3.928 4.857 1.123 -0.14 0.16 0.09 0.10
H -1.436 4.220 0.243 0.23 0.10 -0.03 0.11
S 0.302 -1.737 -2.023 0.12 -0.38 -0.30 0.99
C 2.102 -1.497 -1.857 -0.45 0.07 -0.14 -0.39
C 2.488 -1.160 -0.446 -0.19 -0.30 0.54 -0.23
C 1.811 -1.701 0.592 0.13 -0.08 -0.34 0.03
C 2.059 -1.355 1.975 0.23 0.17 0.07 -0.46
O 1.443 -1.788 2.932 -0.18 -0.15 0.16 0.04
N 3.076 -0.440 2.147 -0.06 0.04 0.44 0.17
C 3.831 0.104 1.147 0.25 0.11 -0.62 -0.17
C 4.858 0.999 1.457 -0.02 -0.01 0.01 -0.02
C 5.635 1.535 0.457 -0.10 -0.07 0.03 -0.08
C 5.402 1.184 -0.870 0.08 0.04 -0.15 -0.08
C 4.388 0.311 -1.189 -0.03 -0.01 0.15 -0.02
C 3.572 -0.245 -0.195 0.27 0.20 0.36 -0.11
H 4.232 0.048 -2.223 -0.05 -0.01 -0.10 0.11
H 6.018 1.601 -1.651 0.04 0.03 -0.08 0.10
H 6.427 2.226 0.701 0.06 0.06 0.04 0.10
H 5.034 1.260 2.491 0.02 0.03 0.11 0.11
H 3.261 -0.154 3.101 -0.11 -0.13 -0.14 0.16
H 1.006 -2.404 0.429 -0.04 0.04 0.02 0.10
H 2.360 -0.694 -2.542 0.12 -0.10 0.05 0.07
H 2.554 -2.434 -2.186 -0.01 0.06 -0.06 0.10
H -2.344 -1.612 -1.544 -0.11 0.10 0.03 0.11
H -3.443 -0.285 -1.093 0.16 -0.13 -0.10 0.13
H -3.677 -2.777 1.744 0.00 -0.01 -0.12 0.13
H -3.486 -3.206 0.025 -0.02 0.02 0.07 0.13
H -5.890 -3.517 -0.138 -0.03 0.02 0.02 0.09
H -6.074 -3.065 1.575 -0.02 0.01 -0.03 0.09
H -6.896 -2.113 0.309 -0.05 -0.09 0.02 0.09

***

9
Properties=species:S:1:pos:R:3:forces:R:3:lowdin_charge:R:1 method="wB97M-V/def2-TZVPD" de_lowest_kj_mol=284.69 charge=0 gap_ev=9.276 molar_mass_g_mol=101.1 homo_ev=-10.4553
C 1.767 0.191 0.199 -3.99 -0.28 0.15 -0.17
C -0.872 0.823 -0.248 -0.06 1.25 1.13 -0.34
C -0.144 -0.199 0.534 5.28 -0.19 1.69 -0.54
N 2.842 0.505 -0.043 0.68 0.04 -0.06 0.05
O -1.103 1.926 0.192 0.04 -1.30 -0.98 0.10
S -0.327 -1.915 0.081 -1.47 0.53 -1.31 0.74
H -1.154 0.361 -1.185 -0.61 0.71 -1.04 0.09
H 0.061 0.052 1.634 -1.11 -0.74 -1.57 0.11
H -1.071 -1.744 -1.165 1.24 0.00 1.99 -0.05

***

26
Properties=species:S:1:pos:R:3:forces:R:3:lowdin_charge:R:1 method="wB97M-V/def2-TZVPD" charge=+3 gap_ev="5.267 / 5.270" molar_mass_g_mol=374.3 homo_ev="-20.6917 / -20.6919"
O -4.009 0.728 -3.157 1.64 0.08 2.01 0.08
C -3.257 0.736 -2.301 -1.55 -0.15 -2.02 0.01
Ce 1.159 -1.465 -1.482 2.70 1.49 3.40 1.67
O -2.221 -2.477 -0.449 5.45 1.90 -0.53 0.27
C -1.127 -2.110 -0.604 -6.22 -1.70 1.00 0.00
C 0.480 -3.926 -1.419 -2.27 -6.46 0.25 0.03
O 0.021 -4.989 -1.364 2.33 5.18 -0.27 0.29
C -0.087 -0.859 -3.534 2.04 0.76 -3.66 -0.09
O 1.192 -0.566 -3.501 -3.67 -0.97 1.16 -0.03
C -0.571 -2.141 -3.091 -3.82 -1.19 -3.03 -0.27
O -1.428 -2.887 -3.504 3.05 1.72 1.99 0.29
H -0.828 -0.130 -3.885 -0.05 0.27 0.42 0.19
C 1.052 2.471 3.710 -0.25 0.24 -0.25 0.02
C 0.813 1.703 2.438 0.19 0.86 0.63 -0.18
C 1.106 0.344 2.395 0.22 -1.59 -0.53 0.05
C 0.955 -0.355 1.201 0.20 1.11 0.57 -0.14
N 0.584 0.279 0.054 -0.37 -0.95 -0.45 -0.15
C 0.172 1.579 0.118 0.22 0.13 0.07 -0.02
C 0.305 2.319 1.285 -0.16 -0.28 -0.42 0.07
H 0.509 2.016 4.551 0.13 0.04 -0.22 0.12
H 2.121 2.464 3.972 -0.23 -0.07 -0.12 0.13

**Assignment**
What is needed: print only the lines further up with the word "de_lowest_kj_mol" in them.

**Outcome**
Properties=species:S:1:pos:R:3:forces:R:3:lowdin_charge:R:1 method="wB97M-V/def2-TZVPD" de_lowest_kj_mol=200.43 smiles="COCCCn1c(SCc2cc(=O)[nH]c3ccccc23)nnc1-c1ccco1" charge=0 gap_ev=8.107 molar_mass_g_mol=396.5 homo_ev=-7.8478
Properties=species:S:1:pos:R:3:forces:R:3:lowdin_charge:R:1 method="wB97M-V/def2-TZVPD" de_lowest_kj_mol=284.69 charge=0 gap_ev=9.276 molar_mass_g_mol=101.1 homo_ev=-10.4553